### Brief
The reader should echo all of the contents below verbatim.

### Given
=====
Entry 1:
Below is an optimized crystal structure of Co2PH2CO7, with properties calculated at the GGA+U level.

Computed properties:
Its space group is No. 14. As for the crystal system: monoclinic. Its energy is -341.2 eV/cell.

```
data_Co2PH2CO7
_chemical_formula_sum 'Co8 P4 H8 C4 O28'
_symmetry_space_group_name_H-M 'P 1'
_symmetry_Int_Tables_number 1
_cell_length_a 4.8320
_cell_length_b 7.9784
_cell_length_c 15.5452
_cell_angle_alpha 65.35
_cell_angle_beta 90.00
_cell_angle_gamma 90.00
loop_
_symmetry_equiv_pos_as_xyz
'x,y,z'
loop_
_atom_site_label
_atom_site_type_symbol
_atom_site_fract_x
_atom_site_fract_y
_atom_site_fract_z
Co1 Co 0.4696 0.0590 0.1396
Co2 Co 0.0304 0.0590 0.6396
Co3 Co 0.5304 0.9410 0.8604
Co4 Co 0.9696 0.9410 0.3604
Co5 Co 0.5390 0.3908 0.6953
Co6 Co 0.0390 0.6092 0.8047
Co7 Co 0.4610 0.6092 0.3047
Co8 Co 0.9610 0.3908 0.1953
P1 P 0.9798 0.1955 0.8070
P2 P 0.4798 0.8045 0.6930
P3 P 0.0202 0.8045 0.1930
P4 P 0.5202 0.1955 0.3070
H1 H 0.2542 0.8685 0.0217
H2 H 0.7542 0.1315 0.4783
H3 H 0.7458 0.1315 0.9783
H4 H 0.2458 0.8685 0.5217
H5 H 0.4920 0.7181 0.0314
H6 H 0.9920 0.2819 0.4686
H7 H 0.0080 0.7181 0.5314
H8 H 0.5080 0.2819 0.9686
C1 C 0.3804 0.4316 0.5079
C2 C 0.8804 0.5684 0.9921
C3 C 0.6196 0.5684 0.4921
C4 C 0.1196 0.4316 0.0079
O1 O 0.8647 0.0486 0.9010
O2 O 0.6998 0.8107 0.1961
O3 O 0.8002 0.8107 0.6961
O4 O 0.3002 0.1893 0.8039
O5 O 0.6353 0.0486 0.4010
O6 O 0.1353 0.9514 0.0990
O7 O 0.3647 0.9514 0.5990
O8 O 0.1998 0.1893 0.3039
O9 O 0.6612 0.1534 0.2265
O10 O 0.1612 0.8466 0.2735
O11 O 0.3388 0.8466 0.7735
O12 O 0.8388 0.1534 0.7265
O13 O 0.6293 0.3924 0.2864
O14 O 0.1293 0.6076 0.2136
O15 O 0.2678 0.4298 0.4348
O16 O 0.8707 0.3924 0.7864
O17 O 0.1482 0.8028 0.4879
O18 O 0.6482 0.1972 0.0121
O19 O 0.8518 0.1972 0.5121
O20 O 0.3518 0.8028 0.9879
O21 O 0.1871 0.3318 0.0934
O22 O 0.6871 0.6682 0.4066
O23 O 0.8129 0.6682 0.9066
O24 O 0.3129 0.3318 0.5934
O25 O 0.2322 0.4298 0.9348
O26 O 0.7322 0.5702 0.5652
O27 O 0.7678 0.5702 0.0652
O28 O 0.3707 0.6076 0.7136
```

---

Entry 2:
Below is an optimized crystal structure of CoPH3CO4, with properties calculated at the GGA+U level.

Computed properties:
Its space group is No. 33. As for the crystal system: orthorhombic. Its energy is -231.8 eV/cell.

```
data_CoPH3CO4
_chemical_formula_sum 'Co4 P4 H12 C4 O16'
_symmetry_space_group_name_H-M 'P 1'
_symmetry_Int_Tables_number 1
_cell_length_a 4.8124
_cell_length_b 5.7065
_cell_length_c 17.4251
_cell_angle_alpha 90.00
_cell_angle_beta 90.00
_cell_angle_gamma 90.00
loop_
_symmetry_equiv_pos_as_xyz
'x,y,z'
loop_
_atom_site_label
_atom_site_type_symbol
_atom_site_fract_x
_atom_site_fract_y
_atom_site_fract_z
Co1 Co 0.1382 0.1960 0.2663
Co2 Co 0.8618 0.6960 0.7337
Co3 Co 0.6382 0.6960 0.2337
Co4 Co 0.3618 0.1960 0.7663
P1 P 0.1995 0.6967 0.3416
P2 P 0.8005 0.1967 0.6584
P3 P 0.6995 0.1967 0.1584
P4 P 0.3005 0.6967 0.8416
H1 H 0.2065 0.8468 0.4707
H2 H 0.7935 0.3468 0.5293
H3 H 0.7065 0.3468 0.0293
H4 H 0.2935 0.8468 0.9707
H5 H 0.5137 0.6852 0.4473
H6 H 0.4863 0.1852 0.5527
H7 H 0.0137 0.1852 0.0527
H8 H 0.9863 0.6852 0.9473
H9 H 0.1976 0.5338 0.4681
H10 H 0.8024 0.0338 0.5319
H11 H 0.6976 0.0338 0.0319
H12 H 0.3024 0.5338 0.9681
C1 C 0.2874 0.6908 0.4417
C2 C 0.7126 0.1908 0.5583
C3 C 0.7874 0.1908 0.0583
C4 C 0.2126 0.6908 0.9417
O1 O 0.3481 0.4834 0.3013
O2 O 0.6519 0.9834 0.6987
O3 O 0.8481 0.9834 0.1987
O4 O 0.1519 0.4834 0.8013
O5 O 0.3508 0.9101 0.3020
O6 O 0.6492 0.4101 0.6980
O7 O 0.8508 0.4101 0.1980
O8 O 0.1492 0.9101 0.8020
O9 O 0.8870 0.6989 0.3309
O10 O 0.1130 0.1989 0.6691
O11 O 0.3870 0.1989 0.1691
O12 O 0.6130 0.6989 0.8309
O13 O 0.9160 0.1938 0.3446
O14 O 0.0840 0.6938 0.6554
O15 O 0.4160 0.6938 0.1554
O16 O 0.5840 0.1938 0.8446
```

---

Entry 3:
Below is an optimized crystal structure of CoH18C6SO10, with properties calculated at the GGA+U level.

Computed properties:
Its space group is No. 14. As for the crystal system: monoclinic. Its energy is -751.5 eV/cell.

```
data_CoH18C6SO10
=====

### Worked solution
Entry 1:
Below is an optimized crystal structure of Co2PH2CO7, with properties calculated at the GGA+U level.

Computed properties:
Its space group is No. 14. As for the crystal system: monoclinic. Its energy is -341.2 eV/cell.

```
data_Co2PH2CO7
_chemical_formula_sum 'Co8 P4 H8 C4 O28'
_symmetry_space_group_name_H-M 'P 1'
_symmetry_Int_Tables_number 1
_cell_length_a 4.8320
_cell_length_b 7.9784
_cell_length_c 15.5452
_cell_angle_alpha 65.35
_cell_angle_beta 90.00
_cell_angle_gamma 90.00
loop_
_symmetry_equiv_pos_as_xyz
'x,y,z'
loop_
_atom_site_label
_atom_site_type_symbol
_atom_site_fract_x
_atom_site_fract_y
_atom_site_fract_z
Co1 Co 0.4696 0.0590 0.1396
Co2 Co 0.0304 0.0590 0.6396
Co3 Co 0.5304 0.9410 0.8604
Co4 Co 0.9696 0.9410 0.3604
Co5 Co 0.5390 0.3908 0.6953
Co6 Co 0.0390 0.6092 0.8047
Co7 Co 0.4610 0.6092 0.3047
Co8 Co 0.9610 0.3908 0.1953
P1 P 0.9798 0.1955 0.8070
P2 P 0.4798 0.8045 0.6930
P3 P 0.0202 0.8045 0.1930
P4 P 0.5202 0.1955 0.3070
H1 H 0.2542 0.8685 0.0217
H2 H 0.7542 0.1315 0.4783
H3 H 0.7458 0.1315 0.9783
H4 H 0.2458 0.8685 0.5217
H5 H 0.4920 0.7181 0.0314
H6 H 0.9920 0.2819 0.4686
H7 H 0.0080 0.7181 0.5314
H8 H 0.5080 0.2819 0.9686
C1 C 0.3804 0.4316 0.5079
C2 C 0.8804 0.5684 0.9921
C3 C 0.6196 0.5684 0.4921
C4 C 0.1196 0.4316 0.0079
O1 O 0.8647 0.0486 0.9010
O2 O 0.6998 0.8107 0.1961
O3 O 0.8002 0.8107 0.6961
O4 O 0.3002 0.1893 0.8039
O5 O 0.6353 0.0486 0.4010
O6 O 0.1353 0.9514 0.0990
O7 O 0.3647 0.9514 0.5990
O8 O 0.1998 0.1893 0.3039
O9 O 0.6612 0.1534 0.2265
O10 O 0.1612 0.8466 0.2735
O11 O 0.3388 0.8466 0.7735
O12 O 0.8388 0.1534 0.7265
O13 O 0.6293 0.3924 0.2864
O14 O 0.1293 0.6076 0.2136
O15 O 0.2678 0.4298 0.4348
O16 O 0.8707 0.3924 0.7864
O17 O 0.1482 0.8028 0.4879
O18 O 0.6482 0.1972 0.0121
O19 O 0.8518 0.1972 0.5121
O20 O 0.3518 0.8028 0.9879
O21 O 0.1871 0.3318 0.0934
O22 O 0.6871 0.6682 0.4066
O23 O 0.8129 0.6682 0.9066
O24 O 0.3129 0.3318 0.5934
O25 O 0.2322 0.4298 0.9348
O26 O 0.7322 0.5702 0.5652
O27 O 0.7678 0.5702 0.0652
O28 O 0.3707 0.6076 0.7136
```

---

Entry 2:
Below is an optimized crystal structure of CoPH3CO4, with properties calculated at the GGA+U level.

Computed properties:
Its space group is No. 33. As for the crystal system: orthorhombic. Its energy is -231.8 eV/cell.

```
data_CoPH3CO4
_chemical_formula_sum 'Co4 P4 H12 C4 O16'
_symmetry_space_group_name_H-M 'P 1'
_symmetry_Int_Tables_number 1
_cell_length_a 4.8124
_cell_length_b 5.7065
_cell_length_c 17.4251
_cell_angle_alpha 90.00
_cell_angle_beta 90.00
_cell_angle_gamma 90.00
loop_
_symmetry_equiv_pos_as_xyz
'x,y,z'
loop_
_atom_site_label
_atom_site_type_symbol
_atom_site_fract_x
_atom_site_fract_y
_atom_site_fract_z
Co1 Co 0.1382 0.1960 0.2663
Co2 Co 0.8618 0.6960 0.7337
Co3 Co 0.6382 0.6960 0.2337
Co4 Co 0.3618 0.1960 0.7663
P1 P 0.1995 0.6967 0.3416
P2 P 0.8005 0.1967 0.6584
P3 P 0.6995 0.1967 0.1584
P4 P 0.3005 0.6967 0.8416
H1 H 0.2065 0.8468 0.4707
H2 H 0.7935 0.3468 0.5293
H3 H 0.7065 0.3468 0.0293
H4 H 0.2935 0.8468 0.9707
H5 H 0.5137 0.6852 0.4473
H6 H 0.4863 0.1852 0.5527
H7 H 0.0137 0.1852 0.0527
H8 H 0.9863 0.6852 0.9473
H9 H 0.1976 0.5338 0.4681
H10 H 0.8024 0.0338 0.5319
H11 H 0.6976 0.0338 0.0319
H12 H 0.3024 0.5338 0.9681
C1 C 0.2874 0.6908 0.4417
C2 C 0.7126 0.1908 0.5583
C3 C 0.7874 0.1908 0.0583
C4 C 0.2126 0.6908 0.9417
O1 O 0.3481 0.4834 0.3013
O2 O 0.6519 0.9834 0.6987
O3 O 0.8481 0.9834 0.1987
O4 O 0.1519 0.4834 0.8013
O5 O 0.3508 0.9101 0.3020
O6 O 0.6492 0.4101 0.6980
O7 O 0.8508 0.4101 0.1980
O8 O 0.1492 0.9101 0.8020
O9 O 0.8870 0.6989 0.3309
O10 O 0.1130 0.1989 0.6691
O11 O 0.3870 0.1989 0.1691
O12 O 0.6130 0.6989 0.8309
O13 O 0.9160 0.1938 0.3446
O14 O 0.0840 0.6938 0.6554
O15 O 0.4160 0.6938 0.1554
O16 O 0.5840 0.1938 0.8446
```

---

Entry 3:
Below is an optimized crystal structure of CoH18C6SO10, with properties calculated at the GGA+U level.

Computed properties:
Its space group is No. 14. As for the crystal system: monoclinic. Its energy is -751.5 eV/cell.

```
data_CoH18C6SO10